'''
# VCoBi, relaxed, DFT PBE
data_VCoBi
_symmetry_space_group_name_H-M 'P 1'
_symmetry_Int_Tables_number 1
_cell_length_a 3.083
_cell_length_b 3.085
_cell_length_c 11.590
_cell_angle_alpha 97.53
_cell_angle_beta 97.49
_cell_angle_gamma 90.63
loop_
_symmetry_equiv_pos_as_xyz
'x,y,z'
loop_
_atom_site_label
_atom_site_type_symbol
_atom_site_fract_x
_atom_site_fract_y
_atom_site_fract_z
V1 V 0.000 0.000 0.000
V2 V 0.279 0.284 0.570
Co1 Co 0.547 0.547 0.095
Co2 Co 0.731 0.737 0.474
Bi1 Bi 0.139 0.142 0.285
Bi2 Bi 0.394 0.892 0.785
# calculated formation energy	1.2	eV per formula unit
# DOS at the Fermi energy	0.976	states/eV per atom


Entry 1:
First-principles (GGA-PBE) data for Nd2Cu3Pd12Au after structural relaxation, as listed in Alexandria.

a = 6.8808 Å, b = 6.8808 Å, c = 6.8808 Å
α = 83.27°, β = 83.27°, γ = 83.27°
Element x y z (fractional)
Nd 0.2245 0.2245 0.2245
Nd 0.7755 0.7755 0.7755
Cu 0.0000 0.5000 0.5000
Cu 0.5000 0.0000 0.5000
Cu 0.5000 0.5000 0.0000
Pd 0.0953 0.0953 0.6285
Pd 0.0953 0.6285 0.0953
Pd 0.1921 0.6960 0.6960
Pd 0.3040 0.3040 0.8079
Pd 0.3040 0.8079 0.3040
Pd 0.3715 0.9047 0.9047
Pd 0.6285 0.0953 0.0953
Pd 0.6960 0.1921 0.6960
Pd 0.6960 0.6960 0.1921
Pd 0.8079 0.3040 0.3040
Pd 0.9047 0.3715 0.9047
Pd 0.9047 0.9047 0.3715
Au 0.5000 0.5000 0.5000

- SG = R-3m (166)
- calculated formation energy (eV per atom) = -0.193
- Fermi-level density of states (states/eV/f.u.) = 10.779
- total magnetization (μB per formula unit) = 0.0

***

Entry 2:
First-principles (GGA-PBE) data for PmNdCuAu after structural relaxation, as listed in Alexandria.

a = 5.1686 Å, b = 5.1686 Å, c = 5.1686 Å
α = 60.00°, β = 60.00°, γ = 60.00°
Element x y z (fractional)
Pm 0.0000 0.0000 0.0000
Nd 0.5000 0.5000 0.5000
Cu 0.7500 0.7500 0.7500
Au 0.2500 0.2500 0.2500

- SG = F-43m (216)
- calculated formation energy (eV per atom) = -0.452
- Fermi-level density of states (states/eV/f.u.) = 3.729
- energy above the most stable polymorph in this dataset (meV/atom) = 40.3
- total magnetization (μB per formula unit) = 0.0

***

Entry 3:
First-principles (GGA-PBE) data for PmNdCuAu after structural relaxation, as listed in Alexandria.

a = 4.6525 Å, b = 5.8412 Å, c = 5.8412 Å
α = 39.28°, β = 90.00°, γ = 90.00°
Element x y z (fractional)
Pm 0.0000 0.0000 0.0000
Nd 0.5000 0.7210 0.7210
Cu 0.0000 0.2844 0.2844
Au 0.5000 0.4362 0.4362

- SG = Amm2 (38)
- calculated formation energy (eV per atom) = -0.492
- Fermi-level density of states (states/eV/f.u.) = 3.222
- energy above the most stable polymorph in this dataset (meV/atom) = 0.0
- total magnetization (μB per formula unit) = 0.0

***

Entry 4:
First-principles (GGA-PBE) data for PrNdCuAu after structural relaxation, as listed in Alexandria.

a = 4.6708 Å, b = 5.8834 Å, c = 5.8834 Å
α = 39.40°, β = 90.00°, γ = 90.00°
Element x y z (fractional)
Pr 0.0000 0.0000 0.0000
Nd 0.5000 0.7207 0.7207
Cu 0.5000 0.4353 0.4353
Au 0.0000 0.2856 0.2856

- SG = Amm2 (38)
- calculated formation energy (eV per atom) = -0.476
- Fermi-level density of states (states/eV/f.u.) = 3.338
- energy above the most stable polymorph in this dataset (meV/atom) = 0.0
- total magnetization (μB per formula unit) = 0.0

***

Entry 5:
First-principles (GGA-PBE) data for PrNdCuAu after structural relaxation, as listed in Alexandria.

a = 5.2051 Å, b = 5.2051 Å, c = 5.2051 Å
α = 60.00°, β = 60.00°, γ = 60.00°
Element x y z (fractional)
Pr 0.0000 0.0000 0.0000
Nd 0.5000 0.5000 0.5000
Cu 0.7500 0.7500 0.7500
Au 0.2500 0.2500 0.2500

- SG = F-43m (216)
- calculated formation energy (eV per atom) = -0.432
- Fermi-level density of states (states/eV/f.u.) = 3.685
- energy above the most stable polymorph in this dataset (meV/atom) = 44.0
- total magnetization (μB per formula unit) = 0.0

***

Entry 6:
First-principles (GGA-PBE) data for Nd2Cu2Pt5Au after structural relaxation, as listed in Alexandria.

a = 9.4290 Å, b = 9.4290 Å, c = 4.0313 Å
α = 90.00°, β = 90.00°, γ = 90.00°
Element x y z (fractional)
Nd 0.1802 0.3198 0.0000
'''

Copy all of the block above unchanged.

# VCoBi, relaxed, DFT PBE
data_VCoBi
_symmetry_space_group_name_H-M 'P 1'
_symmetry_Int_Tables_number 1
_cell_length_a 3.083
_cell_length_b 3.085
_cell_length_c 11.590
_cell_angle_alpha 97.53
_cell_angle_beta 97.49
_cell_angle_gamma 90.63
loop_
_symmetry_equiv_pos_as_xyz
'x,y,z'
loop_
_atom_site_label
_atom_site_type_symbol
_atom_site_fract_x
_atom_site_fract_y
_atom_site_fract_z
V1 V 0.000 0.000 0.000
V2 V 0.279 0.284 0.570
Co1 Co 0.547 0.547 0.095
Co2 Co 0.731 0.737 0.474
Bi1 Bi 0.139 0.142 0.285
Bi2 Bi 0.394 0.892 0.785
# calculated formation energy	1.2	eV per formula unit
# DOS at the Fermi energy	0.976	states/eV per atom


Entry 1:
First-principles (GGA-PBE) data for Nd2Cu3Pd12Au after structural relaxation, as listed in Alexandria.

a = 6.8808 Å, b = 6.8808 Å, c = 6.8808 Å
α = 83.27°, β = 83.27°, γ = 83.27°
Element x y z (fractional)
Nd 0.2245 0.2245 0.2245
Nd 0.7755 0.7755 0.7755
Cu 0.0000 0.5000 0.5000
Cu 0.5000 0.0000 0.5000
Cu 0.5000 0.5000 0.0000
Pd 0.0953 0.0953 0.6285
Pd 0.0953 0.6285 0.0953
Pd 0.1921 0.6960 0.6960
Pd 0.3040 0.3040 0.8079
Pd 0.3040 0.8079 0.3040
Pd 0.3715 0.9047 0.9047
Pd 0.6285 0.0953 0.0953
Pd 0.6960 0.1921 0.6960
Pd 0.6960 0.6960 0.1921
Pd 0.8079 0.3040 0.3040
Pd 0.9047 0.3715 0.9047
Pd 0.9047 0.9047 0.3715
Au 0.5000 0.5000 0.5000

- SG = R-3m (166)
- calculated formation energy (eV per atom) = -0.193
- Fermi-level density of states (states/eV/f.u.) = 10.779
- total magnetization (μB per formula unit) = 0.0

***

Entry 2:
First-principles (GGA-PBE) data for PmNdCuAu after structural relaxation, as listed in Alexandria.

a = 5.1686 Å, b = 5.1686 Å, c = 5.1686 Å
α = 60.00°, β = 60.00°, γ = 60.00°
Element x y z (fractional)
Pm 0.0000 0.0000 0.0000
Nd 0.5000 0.5000 0.5000
Cu 0.7500 0.7500 0.7500
Au 0.2500 0.2500 0.2500

- SG = F-43m (216)
- calculated formation energy (eV per atom) = -0.452
- Fermi-level density of states (states/eV/f.u.) = 3.729
- energy above the most stable polymorph in this dataset (meV/atom) = 40.3
- total magnetization (μB per formula unit) = 0.0

***

Entry 3:
First-principles (GGA-PBE) data for PmNdCuAu after structural relaxation, as listed in Alexandria.

a = 4.6525 Å, b = 5.8412 Å, c = 5.8412 Å
α = 39.28°, β = 90.00°, γ = 90.00°
Element x y z (fractional)
Pm 0.0000 0.0000 0.0000
Nd 0.5000 0.7210 0.7210
Cu 0.0000 0.2844 0.2844
Au 0.5000 0.4362 0.4362

- SG = Amm2 (38)
- calculated formation energy (eV per atom) = -0.492
- Fermi-level density of states (states/eV/f.u.) = 3.222
- energy above the most stable polymorph in this dataset (meV/atom) = 0.0
- total magnetization (μB per formula unit) = 0.0

***

Entry 4:
First-principles (GGA-PBE) data for PrNdCuAu after structural relaxation, as listed in Alexandria.

a = 4.6708 Å, b = 5.8834 Å, c = 5.8834 Å
α = 39.40°, β = 90.00°, γ = 90.00°
Element x y z (fractional)
Pr 0.0000 0.0000 0.0000
Nd 0.5000 0.7207 0.7207
Cu 0.5000 0.4353 0.4353
Au 0.0000 0.2856 0.2856

- SG = Amm2 (38)
- calculated formation energy (eV per atom) = -0.476
- Fermi-level density of states (states/eV/f.u.) = 3.338
- energy above the most stable polymorph in this dataset (meV/atom) = 0.0
- total magnetization (μB per formula unit) = 0.0

***

Entry 5:
First-principles (GGA-PBE) data for PrNdCuAu after structural relaxation, as listed in Alexandria.

a = 5.2051 Å, b = 5.2051 Å, c = 5.2051 Å
α = 60.00°, β = 60.00°, γ = 60.00°
Element x y z (fractional)
Pr 0.0000 0.0000 0.0000
Nd 0.5000 0.5000 0.5000
Cu 0.7500 0.7500 0.7500
Au 0.2500 0.2500 0.2500

- SG = F-43m (216)
- calculated formation energy (eV per atom) = -0.432
- Fermi-level density of states (states/eV/f.u.) = 3.685
- energy above the most stable polymorph in this dataset (meV/atom) = 44.0
- total magnetization (μB per formula unit) = 0.0

***

Entry 6:
First-principles (GGA-PBE) data for Nd2Cu2Pt5Au after structural relaxation, as listed in Alexandria.

a = 9.4290 Å, b = 9.4290 Å, c = 4.0313 Å
α = 90.00°, β = 90.00°, γ = 90.00°
Element x y z (fractional)
Nd 0.1802 0.3198 0.0000